Exercise:
Please search the entries further below for the word "write" and quote each line that has it.

Listing:
┌──
Record 1
Starting from a cell relaxed with GGA-PBE, the PXRD pattern of Er3ZnSe2 was calculated for Cu Kα, 1.54184 Å.

Top 6 peaks for 2θ = 10–90°, in order of rising 2θ:
d = 3.391 Å, rel. 20; d = 2.878 Å, rel. 51; d = 2.868 Å, rel. 100; d = 2.099 Å, rel. 21; d = 2.031 Å, rel. 75; d = 1.696 Å, rel. 21

abc: 3.927 5.756 12.592
angles: 90.00 90.00 90.00
Space group Immm (No. 71)
Asymmetric unit:
Er (0.000, 0.000, 0.000) x2
Er (0.000, 0.000, 0.334) x4
Zn (0.000, 0.500, 0.000) x2
Se (0.000, 0.500, 0.332) x4

---

Record 2
Starting from a cell relaxed with GGA-PBE, the PXRD pattern of Cs5Si3AgO9 was calculated for Cu Kα, 1.54184 Å.

Top 6 peaks for 2θ = 10–90°, in order of rising 2θ:
d = 3.389 Å, rel. 55; d = 3.373 Å, rel. 100; d = 3.300 Å, rel. 47; d = 3.211 Å, rel. 35; d = 3.151 Å, rel. 42; d = 3.119 Å, rel. 50

abc: 9.897 6.602 11.876
angles: 90.00 93.82 90.00
Space group P2_1/m (No. 11)
Asymmetric unit:
Cs (0.037, 0.250, 0.397) x2
Cs (0.162, 0.250, 0.064) x2
Cs (0.222, 0.750, 0.866) x2
Cs (0.277, 0.250, 0.682) x2
Cs (0.454, 0.250, 0.380) x2
Si (0.057, 0.750, 0.208) x2
Si (0.247, 0.750, 0.432) x2
Si (0.370, 0.750, 0.199) x2
Ag (0.500, 0.000, 0.000) x2
O (0.023, 0.043, 0.826) x4
O (0.101, 0.750, 0.348) x2
O (0.209, 0.750, 0.146) x2
O (0.257, 0.543, 0.504) x4
O (0.371, 0.750, 0.339) x2
O (0.446, 0.541, 0.164) x4

---

Record 3
Starting from a cell relaxed with GGA-PBE, the PXRD pattern of CePr2ErPt2 was calculated for Cu Kα, 1.54184 Å.

Top 6 peaks for 2θ = 10–90°, in order of rising 2θ:
d = 3.090 Å, rel. 40; d = 3.080 Å, rel. 39; d = 2.872 Å, rel. 62; d = 2.470 Å, rel. 92; d = 2.419 Å, rel. 100; d = 2.135 Å, rel. 43

abc: 6.857 14.273 6.828
angles: 90.00 90.00 90.00
Space group Ibam (No. 72)
Asymmetric unit:
Ce (0.000, 0.000, 0.250) x4
Pr (0.243, 0.190, 0.000) x8
Er (0.000, 0.500, 0.250) x4
Pt (0.249, 0.390, 0.000) x8

---

Record 4
Starting from a cell relaxed with GGA-PBE, the PXRD pattern of YMgPdO4 was calculated for Cu Kα, 1.54184 Å.

Top 6 peaks for 2θ = 10–90°, in order of rising 2θ:
d = 5.262 Å, rel. 100; d = 5.188 Å, rel. 50; d = 2.768 Å, rel. 62; d = 2.630 Å, rel. 59; d = 2.327 Å, rel. 70; d = 1.578 Å, rel. 54

abc: 6.510 6.658 8.587
angles: 90.00 90.00 90.00
Space group Imma (No. 74)
Asymmetric unit:
Y (0.000, 0.000, 0.000) x4
Mg (0.000, 0.250, 0.394) x4
Pd (0.250, 0.250, 0.750) x4
O (0.000, 0.017, 0.735) x8
O (0.235, 0.250, 0.991) x8

---

Record 5
Starting from a cell relaxed with GGA-PBE, the PXRD pattern of LiCuIF2 was calculated for Cu Kα, 1.54184 Å.

Top 6 peaks for 2θ = 10–90°, in order of rising 2θ:
d = 5.206 Å, rel. 100; d = 3.681 Å, rel. 30; d = 2.603 Å, rel. 28; d = 2.326 Å, rel. 35; d = 1.733 Å, rel. 20; d = 1.645 Å, rel. 23

abc: 5.206 5.206 4.645
angles: 90.00 90.00 90.00
Space group P4/mmm (No. 123)
Asymmetric unit:
Li (0.000, 0.000, 0.000) x1
Cu (0.500, 0.500, 0.000) x1
I (0.500, 0.500, 0.500) x1
F (0.000, 0.500, 0.500) x2

---

Record 6
Starting from a cell relaxed with GGA-PBE, the PXRD pattern of Tb2Ge3Rh was calculated for Cu Kα, 1.54184 Å.

Top 6 peaks for 2θ = 10–90°, in order of rising 2θ:
d = 2.722 Å, rel. 37; d = 2.697 Å, rel. 59; d = 2.587 Å, rel. 100; d = 2.566 Å, rel. 77; d = 2.267 Å, rel. 76; d = 2.185 Å, rel. 63

abc: 10.483 4.370 6.965
angles: 90.00 130.65 90.00
Space group Cm (No. 8)
Asymmetric unit:
Tb (0.000, 0.000, 0.000) x2
Tb (0.108, 0.000, 0.597) x2
Ge (0.228, 0.500, 0.405) x2
Ge (0.373, 0.000, 0.184) x2
Ge (0.429, 0.000, 0.650) x2
Rh (0.229, 0.500, 0.037) x2

---

Please write out number 4 again, unchanged.
Starting from a cell relaxed with GGA-PBE, the PXRD pattern of YMgPdO4 was calculated for Cu Kα, 1.54184 Å.

Top 6 peaks for 2θ = 10–90°, in order of rising 2θ:
d = 5.262 Å, rel. 100; d = 5.188 Å, rel. 50; d = 2.768 Å, rel. 62; d = 2.630 Å, rel. 59; d = 2.327 Å, rel. 70; d = 1.578 Å, rel. 54

abc: 6.510 6.658 8.587
angles: 90.00 90.00 90.00
Space group Imma (No. 74)
Asymmetric unit:
Y (0.000, 0.000, 0.000) x4
Mg (0.000, 0.250, 0.394) x4
Pd (0.250, 0.250, 0.750) x4
└──

Outcome:
Please write out number 4 again, unchanged.